On Thursday, 11 July 2024, at the celebrating Church of Saint Euphemia the Great Martyr, in the suburb of Bankstown, Sydney, His Eminence Archbishop Makarios of Australia liturgised, on the day when our Church commemorates the miracle of Saint Euphemia during the Fourth Ecumenical Council of Chalcedon.
Before a crowd of devout believers, who flocked reverently to venerate the holy Icon of the Patroness of their Parish and the fragment of Her holy Relic, which is treasured in the Church of Bankstown, His Eminence vividly described what happened during the year 451 AD, the miracle of Saint Euphemia, when the Fathers who participated in the Fourth Ecumenical Council placed, in the reliquary with Her relics, two documents with the positions and teachings of the Orthodox and the Monophysites. When the sealed reliquary was opened, the Orthodox document was on the Saint’s chest and in her embrace, while the heretical document was found at her feet.
At the end of the description of this wonderful event, through which the Fathers were guided in making the right decisions, the Archbishop underlined with emphasis: “Saint Euphemia did not just perform a miracle, but through it she upheld the truth”. Pointing out that the duty of every Christian, in order to meaningfully honour the Saints of our Church, is to follow their example, His Eminence urged the faithful to uphold and defend the truth in every aspect of their everyday life.
“The devil tries at every hour and every moment to slander the truth. That is why he is called a devil (διάβολος). He does not want us to know the truth,” he noted. “The whole struggle of our Church, in all ages,” he countered, “is to present, uphold, and teach the truth.” “Here, then, is the lesson we can take from this miracle,” he continued, “here, is what we can put into our lives. Let us not follow the voice of the devil, who tries to trick us, who tries to tell us that the ugly things are beautiful, that evil is good and that night is day.
== Here the article breaks off for calculated crystals ==
Diffraction record for Sr3Mg2Sn3. The X-ray diffraction stick pattern is theoretical, not measured: it uses a structure optimized by DFT (PBE) and λ = 1.5418 Å (Cu Kα).

Cell and atoms:
```
32
Lattice="9.158 0.000 0.000 0.000 16.706 0.000 0.000 0.000 6.725" Properties=species:S:1:pos:R:3 pbc="T T T"
Sr 0.400 1.847 0.892
Sr 0.400 6.507 0.892
Sr 1.780 4.177 4.006
Sr 2.799 12.530 0.644
Sr 4.179 10.200 4.254
Sr 4.179 14.860 4.254
Sr 4.979 1.847 2.470
Sr 4.979 6.507 2.470
Sr 6.359 4.177 6.081
Sr 7.378 12.530 2.718
Sr 8.758 10.200 5.832
Sr 8.758 14.860 5.832
Mg 0.820 10.006 2.639
Mg 0.820 15.054 2.639
Mg 3.759 1.653 6.001
Mg 3.759 6.701 6.001
Mg 5.399 10.006 0.724
Mg 5.399 15.054 0.724
Mg 8.338 1.653 4.086
Mg 8.338 6.701 4.086
Sn 1.547 12.530 3.934
Sn 1.939 0.655 4.029
Sn 1.939 7.698 4.029
Sn 2.640 9.008 0.667
Sn 2.640 16.051 0.667
Sn 3.032 4.177 0.572
Sn 6.126 12.530 6.152
Sn 6.518 0.655 6.058
Sn 6.518 7.698 6.058
Sn 7.218 9.008 2.696
Sn 7.218 16.051 2.696
Sn 7.611 4.177 2.790
```

The 12 most intense peaks (10 to 90 degrees two-theta), sorted by position:
| 2θ (°) | intensity |
| --- | --- |
| 26.95 | 43 |
| 28.28 | 100 |
| 28.51 | 30 |
| 28.94 | 92 |
| 31.45 | 25 |
| 31.91 | 37 |
| 32.19 | 83 |
| 32.62 | 67 |
| 35.65 | 47 |
| 41.34 | 34 |
| 41.67 | 27 |
| 62.95 | 28 |

Diffraction record for Tb3MgSn3. The X-ray diffraction stick pattern is theoretical, not measured: it uses a structure optimized by DFT (PBE) and λ = 1.5418 Å (Cu Kα).

Cell and atoms:
```
14
Lattice="9.257 0.000 0.000 -4.629 8.017 0.000 0.000 0.000 6.170" Properties=species:S:1:pos:R:3 pbc="T T T"
Tb -1.256 2.829 1.542
Tb -1.551 7.691 1.542
Tb 1.821 2.502 4.627
Tb 2.807 5.515 1.542
Tb 6.179 0.326 4.627
Tb 5.885 5.188 4.627
Mg 0.000 5.345 4.627
Mg 4.629 2.672 1.542
Sn -1.305 2.800 4.627
Sn -1.551 7.747 4.627
Sn 1.772 2.530 1.542
Sn 2.856 5.487 4.627
Sn 6.180 0.270 1.542
Sn 5.934 5.217 1.542
```

The 12 most intense peaks (10 to 90 degrees two-theta), sorted by position:
| 2θ (°) | intensity |
| --- | --- |
| 19.18 | 96 |
| 28.94 | 63 |
| 29.48 | 29 |
| 33.53 | 100 |
| 34.95 | 44 |
| 41.79 | 23 |
| 44.87 | 90 |
| 59.96 | 19 |
| 67.93 | 15 |
| 69.07 | 17 |
| 70.49 | 29 |
| 72.43 | 13 |

Diffraction record for TbMgTlSn. The X-ray diffraction stick pattern is theoretical, not measured: it uses a structure optimized by DFT (PBE) and λ = 1.5418 Å (Cu Kα).

Cell and atoms:
```
4
Lattice="4.407 0.000 0.000 0.000 4.680 0.000 0.000 0.000 4.903" Properties=species:S:1:pos:R:3 pbc="T T T"
Tb 0.000 0.000 0.000
Mg 0.000 2.340 2.451
Tl 2.204 0.000 2.451
Sn 2.204 2.340 0.000
```

The 12 most intense peaks (10 to 90 degrees two-theta), sorted by position:
| 2θ (°) | intensity |
| --- | --- |
| 18.96 | 17 |
| 27.21 | 15 |
| 33.37 | 100 |
| 36.66 | 19 |
| 38.47 | 17 |
| 40.96 | 14 |
| 54.18 | 13 |
| 56.12 | 12 |
| 63.93 | 16 |
| 66.36 | 15 |
| 69.79 | 12 |
| 70.10 | 12 |

* * * * *

Record 1
Computed X-ray diffraction stick pattern
Compound: Pd12Se
Radiation: Cu Kα X-rays
If we uphold for the truth, then we are truly following what Saint Euphemia did and truly honouring her memory. Because we first of all honour the memory of the Saint when we follow her example. So love truth, with all that it entails. Many times the truth is not an easy task, neither to follow it, nor to support it. But we must follow the truth. This is the great preaching of the Church. Because “the truth will set you free”.
Finally, His Eminence Archbishop Makarios of Australia, by examining the theological work of the Fourth Ecumenical Synod of Chalcedon, also focused on its 28th canon, which has been characterised as the founding Volume of the Ecumenical Patriarchate. Through this holy canon, the jurisdiction of the Constantinople Church was established in territories that did not belong to the other Orthodox Churches, and from this derives Her jurisdiction in the fifth continent. “We praise God that we belong to our Ecumenical Patriarchate and have the canonicity and sanctifying grace of the great Fathers, who elected the Ecumenical Throne”, the Archbishop of Australia, noted, among other things.